## Material
1.
Er2Sn2O7 | r2SCAN | relaxed

Cell lengths 7.309, 7.309, 7.309 Å; angles 60.00, 60.00, 60.00 degrees
Sites, in units of the cell vectors:
1 Er 0.125 0.125 0.625
2 Er 0.125 0.625 0.125
3 Er 0.625 0.125 0.125
4 Er 0.125 0.125 0.125
5 Sn 0.625 0.625 0.125
6 Sn 0.625 0.125 0.625
7 Sn 0.125 0.625 0.625
8 Sn 0.625 0.625 0.625
9 O 0.250 0.250 0.250
10 O 0.000 0.000 0.000
11 O 0.535 0.965 0.535
12 O 0.285 0.715 0.285
13 O 0.535 0.535 0.965
14 O 0.965 0.535 0.535
15 O 0.535 0.965 0.965
16 O 0.965 0.965 0.535
17 O 0.965 0.535 0.965
18 O 0.715 0.285 0.285
19 O 0.285 0.715 0.715
20 O 0.715 0.285 0.715
21 O 0.285 0.285 0.715
22 O 0.715 0.715 0.285

## Properties
- Symmetry: Fd-3m, No. 227



2.
Er3TaO7 | r2SCAN | relaxed

Cell lengths 6.388, 6.388, 7.357 Å; angles 90.00, 90.00, 108.73 degrees
Sites, in units of the cell vectors:
1 Er 0.000 0.465 0.741
2 Er 0.535 0.000 0.759
3 Er 0.535 0.535 0.500
4 Er 0.465 0.465 0.000
5 Er 0.465 0.000 0.259
6 Er 0.000 0.535 0.241
7 Ta 0.002 0.002 0.500
8 Ta 0.998 0.998 0.000
9 O 0.071 0.929 0.250
10 O 0.052 0.311 0.455
11 O 0.084 0.331 0.025
12 O 0.360 0.640 0.250
13 O 0.371 0.629 0.750
14 O 0.331 0.084 0.975
15 O 0.311 0.052 0.545
16 O 0.689 0.948 0.045
17 O 0.669 0.916 0.475
18 O 0.629 0.371 0.250
19 O 0.640 0.360 0.750
20 O 0.916 0.669 0.525
21 O 0.948 0.689 0.955
22 O 0.929 0.071 0.750

## Properties
- Symmetry: C222_1, No. 20



3.
ErTa3O9 | r2SCAN | relaxed

Cell lengths 7.426, 5.218, 8.220 Å; angles 87.54, 90.00, 90.00 degrees
Sites, in units of the cell vectors:
1 Er 0.250 0.967 0.435
2 Er 0.750 0.033 0.565
3 Ta 0.000 0.000 0.000
4 Ta 0.500 0.000 0.000
5 Ta 0.008 0.528 0.697
6 Ta 0.492 0.528 0.697
7 Ta 0.992 0.472 0.303
8 Ta 0.508 0.472 0.303
9 O 0.250 0.896 0.977
10 O 0.933 0.856 0.783
11 O 0.567 0.856 0.783
12 O 0.955 0.744 0.467
13 O 0.545 0.744 0.467
14 O 0.250 0.671 0.652
15 O 0.942 0.671 0.118
16 O 0.558 0.671 0.118
17 O 0.250 0.581 0.313
18 O 0.750 0.419 0.687
19 O 0.058 0.329 0.882
20 O 0.442 0.329 0.882
21 O 0.750 0.329 0.348
22 O 0.045 0.256 0.533
23 O 0.455 0.256 0.533
24 O 0.067 0.144 0.217
25 O 0.433 0.144 0.217
26 O 0.750 0.104 0.023

## Properties
- Symmetry: P2_1/m, No. 11



4.
Er3TaO7 | r2SCAN | relaxed

Cell lengths 6.272, 6.384, 7.474 Å; angles 106.80, 89.71, 97.74 degrees
Sites, in units of the cell vectors:
1 Er 0.736 0.462 0.116
2 Er 0.733 0.456 0.608
3 Er 0.545 0.993 0.750
4 Er 0.455 0.007 0.250
5 Er 0.267 0.544 0.392
6 Er 0.264 0.538 0.884
7 Ta 0.000 0.000 0.000
8 Ta 0.000 0.000 0.500
9 O 0.707 0.069 0.481
10 O 0.920 0.676 0.952
11 O 0.706 0.074 0.052
12 O 0.926 0.666 0.390
13 O 0.906 0.950 0.737
14 O 0.556 0.347 0.834
15 O 0.539 0.361 0.341
16 O 0.461 0.639 0.659
17 O 0.444 0.653 0.166
18 O 0.094 0.050 0.263
19 O 0.074 0.334 0.610
20 O 0.294 0.926 0.948
21 O 0.080 0.324 0.048
22 O 0.293 0.931 0.519

## Properties
- Symmetry: P-1, No. 2



The following energy relative to the elements values (in eV/atom) correspond, in order, to the records above: -2.877; -3.770; -3.319; -3.775.

## To do
Filter the data above: keep the lines with the word "Er3TaO7".

## Written answer
Er3TaO7 | r2SCAN | relaxed
Er3TaO7 | r2SCAN | relaxed